**Contents:**
........
The following is a DFT calculation (the ωB97M-V functional and the def2-TZVPD basis) of C22H36GeN5O7SeTi as an isolated structure.

Element x y z (Å)
Se -1.159 -3.953 2.035
Ge 1.819 1.260 1.540
Ti -0.298 0.222 -0.163
O 1.997 -0.317 0.459
O -3.447 2.042 -4.707
O -3.234 2.223 -2.235
O 0.061 0.576 1.888
O -2.312 1.045 -6.349
O 0.997 1.915 -0.076
O -1.826 1.510 -0.642
N -3.684 -2.204 -0.277
N 0.665 -2.664 0.373
N -1.707 -1.190 -0.238
N -0.324 0.141 -2.403
N -0.438 0.043 -4.576
C -2.258 1.571 -1.841
C 1.701 -2.540 1.369
C 3.644 -1.170 2.066
C 2.702 -1.474 0.905
C -1.644 2.142 2.566
C -0.571 -3.113 0.569
C -1.479 -2.620 -0.573
C -2.843 -3.189 -0.684
C 0.266 -0.320 -3.488
C -1.654 -0.258 3.312
C 0.067 1.311 4.195
C -2.441 1.344 -5.182
C 3.535 -1.993 -0.270
C 2.697 3.643 -0.243
C 1.511 2.801 -2.257
C 0.271 4.153 -0.549
C 1.365 3.115 -0.772
C -1.520 0.782 -4.178
C 1.530 -1.102 -3.521
C -1.440 0.829 -2.823
C -3.029 -1.054 -0.032
C -0.791 0.952 2.985
H -3.368 2.161 -3.709
H -0.245 -0.155 -5.547
H -2.201 -0.591 2.430
H 2.161 -0.792 -4.354
H 4.140 -1.178 -0.669
H 0.646 2.221 4.025
H -3.507 -0.130 0.240
H 3.099 -0.792 2.934
H 1.227 -2.250 2.309
H 3.493 2.907 -0.384
H -0.697 3.756 -0.851
H 2.069 -0.928 -2.591
H 2.187 1.953 -2.393
H -0.572 1.477 5.064
H 0.217 4.417 0.510
H -2.373 -0.012 4.095
H -4.679 -2.314 -0.178
H -0.880 -2.715 -1.497
H 2.631 3.889 0.818
H 2.215 -3.491 1.539
H 1.923 3.662 -2.786
H 0.545 2.564 -2.701
H 2.973 4.550 -0.781
H 4.159 -2.083 2.370
H -3.157 -4.212 -0.771
H -1.004 2.962 2.233
H 4.393 -0.433 1.775
H 1.335 -2.171 -3.624
H 0.913 -2.394 -0.569
H -2.252 2.494 3.401
H 4.197 -2.798 0.052
H 0.477 5.060 -1.120
H 2.915 -2.381 -1.080
H -2.303 1.878 1.738
H -1.034 -1.088 3.653
H 0.754 0.495 4.431

## Properties
Electronic energy   -190163.62650 eV
F_max   1.93 eV/Å
Orbital gap (alpha / beta)   5.8421 / 5.4602 eV
2S+1   2
ΔE to the lowest compared entry with this formula, charge and spin   365.6 kJ/mol
LUMO (alpha / beta)   0.12 / 0.11 eV
⟨S²⟩   0.846

The following is a DFT calculation (the ωB97M-V functional and the def2-TZVPD basis) of an isolated ion of composition C7H14N and charge +1.

Element x y z (Å)
N -1.918 1.800 -1.495
C 0.436 -0.504 0.460
C -0.317 0.276 -2.498
C 1.642 -1.802 2.143
C 2.135 -1.994 3.362
C -0.187 0.793 -0.017
C -1.116 0.469 -1.204
C 0.922 -0.624 1.696
H 1.927 -1.332 4.193
H 0.360 1.110 -2.674
H -1.017 0.297 -3.330
H 0.169 -0.693 -2.503
H -2.201 1.809 -2.471
H 1.755 -2.611 1.443
H 2.665 -2.880 3.672
H -0.769 1.199 0.811
H 0.479 1.563 -0.414
H -1.932 -0.215 -0.997
H 0.578 0.074 2.454
H -2.791 1.851 -0.967
H -1.402 2.668 -1.349
H 0.583 -1.251 -0.315

## Properties
Electronic energy   -8968.28789 eV
F_max   2.30 eV/Å
Orbital gap   8.2503 eV
ΔE to the lowest compared entry with this formula, charge and spin   76.2 kJ/mol
LUMO   -3.54 eV
Charge   +1

The following is a DFT calculation (the ωB97M-V functional and the def2-TZVPD basis) of a 2-piece molecular cluster, C5H8NO4P overall.

Element x y z (Å)
P -0.442 0.370 2.078
O -1.435 -0.544 2.660
O -0.299 1.709 2.699
O -1.230 -0.409 -3.683
O 0.324 1.118 -3.139
N 1.151 -0.415 1.988
C -0.857 0.029 -1.304
C -1.157 -1.394 -0.896
C -0.700 0.979 -0.461
C -0.573 0.302 -2.913
C 1.947 0.540 1.269
H 1.169 -1.192 1.479
H -1.014 -1.395 0.226
H 1.623 1.562 1.519
H 3.093 0.405 1.392
H -2.264 -1.697 -1.081
H 1.999 0.245 0.201
H -0.464 2.059 -0.578
H -0.871 -2.270 -1.458

## Properties
Electronic energy   -24282.61149 eV
F_max   5.65 eV/Å
Orbital gap   6.5205 eV
ΔE to the lowest compared entry with this formula, charge and spin   82.5 kJ/mol
LUMO   6.45 eV
Charge   -2

The following is a DFT calculation (the ωB97M-V functional and the def2-TZVPD basis) of a 5-piece molecular cluster, C20H50O7S2 overall.

Element x y z (Å)
S 1.490 5.518 0.448
S -1.512 2.005 1.227
O -0.367 3.012 1.828
O -0.738 0.561 1.177
O -5.322 -1.522 2.011
O 2.789 5.382 -3.146
O -1.764 2.450 -0.113
O 4.484 -3.316 1.026
O -4.826 -5.013 0.506
C -0.578 -0.814 -0.878
C -3.452 -1.324 3.528
C 1.023 2.645 1.693
........
**What to do:**
It remains to give back the material further up from the first line to the one with "-0.367 3.012" with every line break kept.
**Response:**
The following is a DFT calculation (the ωB97M-V functional and the def2-TZVPD basis) of C22H36GeN5O7SeTi as an isolated structure.

Element x y z (Å)
Se -1.159 -3.953 2.035
Ge 1.819 1.260 1.540
Ti -0.298 0.222 -0.163
O 1.997 -0.317 0.459
O -3.447 2.042 -4.707
O -3.234 2.223 -2.235
O 0.061 0.576 1.888
O -2.312 1.045 -6.349
O 0.997 1.915 -0.076
O -1.826 1.510 -0.642
N -3.684 -2.204 -0.277
N 0.665 -2.664 0.373
N -1.707 -1.190 -0.238
N -0.324 0.141 -2.403
N -0.438 0.043 -4.576
C -2.258 1.571 -1.841
C 1.701 -2.540 1.369
C 3.644 -1.170 2.066
C 2.702 -1.474 0.905
C -1.644 2.142 2.566
C -0.571 -3.113 0.569
C -1.479 -2.620 -0.573
C -2.843 -3.189 -0.684
C 0.266 -0.320 -3.488
C -1.654 -0.258 3.312
C 0.067 1.311 4.195
C -2.441 1.344 -5.182
C 3.535 -1.993 -0.270
C 2.697 3.643 -0.243
C 1.511 2.801 -2.257
C 0.271 4.153 -0.549
C 1.365 3.115 -0.772
C -1.520 0.782 -4.178
C 1.530 -1.102 -3.521
C -1.440 0.829 -2.823
C -3.029 -1.054 -0.032
C -0.791 0.952 2.985
H -3.368 2.161 -3.709
H -0.245 -0.155 -5.547
H -2.201 -0.591 2.430
H 2.161 -0.792 -4.354
H 4.140 -1.178 -0.669
H 0.646 2.221 4.025
H -3.507 -0.130 0.240
H 3.099 -0.792 2.934
H 1.227 -2.250 2.309
H 3.493 2.907 -0.384
H -0.697 3.756 -0.851
H 2.069 -0.928 -2.591
H 2.187 1.953 -2.393
H -0.572 1.477 5.064
H 0.217 4.417 0.510
H -2.373 -0.012 4.095
H -4.679 -2.314 -0.178
H -0.880 -2.715 -1.497
H 2.631 3.889 0.818
H 2.215 -3.491 1.539
H 1.923 3.662 -2.786
H 0.545 2.564 -2.701
H 2.973 4.550 -0.781
H 4.159 -2.083 2.370
H -3.157 -4.212 -0.771
H -1.004 2.962 2.233
H 4.393 -0.433 1.775
H 1.335 -2.171 -3.624
H 0.913 -2.394 -0.569
H -2.252 2.494 3.401
H 4.197 -2.798 0.052
H 0.477 5.060 -1.120
H 2.915 -2.381 -1.080
H -2.303 1.878 1.738
H -1.034 -1.088 3.653
H 0.754 0.495 4.431

## Properties
Electronic energy   -190163.62650 eV
F_max   1.93 eV/Å
Orbital gap (alpha / beta)   5.8421 / 5.4602 eV
2S+1   2
ΔE to the lowest compared entry with this formula, charge and spin   365.6 kJ/mol
LUMO (alpha / beta)   0.12 / 0.11 eV
⟨S²⟩   0.846

The following is a DFT calculation (the ωB97M-V functional and the def2-TZVPD basis) of an isolated ion of composition C7H14N and charge +1.

Element x y z (Å)
N -1.918 1.800 -1.495
C 0.436 -0.504 0.460
C -0.317 0.276 -2.498
C 1.642 -1.802 2.143
C 2.135 -1.994 3.362
C -0.187 0.793 -0.017
C -1.116 0.469 -1.204
C 0.922 -0.624 1.696
H 1.927 -1.332 4.193
H 0.360 1.110 -2.674
H -1.017 0.297 -3.330
H 0.169 -0.693 -2.503
H -2.201 1.809 -2.471
H 1.755 -2.611 1.443
H 2.665 -2.880 3.672
H -0.769 1.199 0.811
H 0.479 1.563 -0.414
H -1.932 -0.215 -0.997
H 0.578 0.074 2.454
H -2.791 1.851 -0.967
H -1.402 2.668 -1.349
H 0.583 -1.251 -0.315

## Properties
Electronic energy   -8968.28789 eV
F_max   2.30 eV/Å
Orbital gap   8.2503 eV
ΔE to the lowest compared entry with this formula, charge and spin   76.2 kJ/mol
LUMO   -3.54 eV
Charge   +1

The following is a DFT calculation (the ωB97M-V functional and the def2-TZVPD basis) of a 2-piece molecular cluster, C5H8NO4P overall.

Element x y z (Å)
P -0.442 0.370 2.078
O -1.435 -0.544 2.660
O -0.299 1.709 2.699
O -1.230 -0.409 -3.683
O 0.324 1.118 -3.139
N 1.151 -0.415 1.988
C -0.857 0.029 -1.304
C -1.157 -1.394 -0.896
C -0.700 0.979 -0.461
C -0.573 0.302 -2.913
C 1.947 0.540 1.269
H 1.169 -1.192 1.479
H -1.014 -1.395 0.226
H 1.623 1.562 1.519
H 3.093 0.405 1.392
H -2.264 -1.697 -1.081
H 1.999 0.245 0.201
H -0.464 2.059 -0.578
H -0.871 -2.270 -1.458

## Properties
Electronic energy   -24282.61149 eV
F_max   5.65 eV/Å
Orbital gap   6.5205 eV
ΔE to the lowest compared entry with this formula, charge and spin   82.5 kJ/mol
LUMO   6.45 eV
Charge   -2

The following is a DFT calculation (the ωB97M-V functional and the def2-TZVPD basis) of a 5-piece molecular cluster, C20H50O7S2 overall.

Element x y z (Å)
S 1.490 5.518 0.448
S -1.512 2.005 1.227
O -0.367 3.012 1.828